Brief >
What is needed: return the block below unchanged.

File >
____________
{
  "formula": "RbMg2Cd2Pb2",
  "functional": "PBE",
  "state": "optimized geometry",
  "cell": [[-3.1800, -1.7038, -3.5420], [-3.5991, -3.3324, 1.2259], [-8.4407, 5.7278, 1.2145]],
  "species": ["Rb", "Mg", "Mg", "Cd", "Cd", "Pb", "Pb"],
  "frac_coords": [[0.0000, 0.0000, 0.0000], [0.1420, 0.1420, 0.5741], [0.8580, 0.8580, 0.4259], [0.5516, 0.5516, 0.3453], [0.4484, 0.4484, 0.6547], [0.7519, 0.7519, 0.7444], [0.2481, 0.2481, 0.2556]],
  "e_tot_ev_per_atom": -2.02,
  "dos_ef_per_ev_cell": 3.030,
  "sg": "R-3m, No. 166",
  "m_tot_mub_per_cell": 0.000
}

~~~~~

PrEr2Pu3Te6 | Alexandria | GGA-PBE | optimized geometry; density of states at the Fermi level = 34.62 states/eV/f.u.; uncorrected formation energy = -1.2069 eV per atom
1.0
4.3968 0.0000 0.0000
0.0000 8.8332 0.4032
-2.1984 -2.5730 9.2630
Pr Er Pu Te
1 2 3 6
Direct
0.5000 0.0000 0.0000
0.8338 0.6654 0.6676
0.1662 0.3346 0.3324
0.5000 0.5000 0.0000
0.8364 0.1650 0.6729
0.1636 0.8350 0.3271
0.3298 0.9079 0.6596
0.6691 0.5803 0.3383
0.6702 0.0921 0.3404
0.0034 0.2579 0.0068
____________

Solution >
{
  "formula": "RbMg2Cd2Pb2",
  "functional": "PBE",
  "state": "optimized geometry",
  "cell": [[-3.1800, -1.7038, -3.5420], [-3.5991, -3.3324, 1.2259], [-8.4407, 5.7278, 1.2145]],
  "species": ["Rb", "Mg", "Mg", "Cd", "Cd", "Pb", "Pb"],
  "frac_coords": [[0.0000, 0.0000, 0.0000], [0.1420, 0.1420, 0.5741], [0.8580, 0.8580, 0.4259], [0.5516, 0.5516, 0.3453], [0.4484, 0.4484, 0.6547], [0.7519, 0.7519, 0.7444], [0.2481, 0.2481, 0.2556]],
  "e_tot_ev_per_atom": -2.02,
  "dos_ef_per_ev_cell": 3.030,
  "sg": "R-3m, No. 166",
  "m_tot_mub_per_cell": 0.000
}

~~~~~

PrEr2Pu3Te6 | Alexandria | GGA-PBE | optimized geometry; density of states at the Fermi level = 34.62 states/eV/f.u.; uncorrected formation energy = -1.2069 eV per atom
1.0
4.3968 0.0000 0.0000
0.0000 8.8332 0.4032
-2.1984 -2.5730 9.2630
Pr Er Pu Te
1 2 3 6
Direct
0.5000 0.0000 0.0000
0.8338 0.6654 0.6676
0.1662 0.3346 0.3324
0.5000 0.5000 0.0000
0.8364 0.1650 0.6729
0.1636 0.8350 0.3271
0.3298 0.9079 0.6596
0.6691 0.5803 0.3383
0.6702 0.0921 0.3404
0.0034 0.2579 0.0068